Dear Fellow Local 79 Member,
Earlier this year, Local 79 met with City staff regarding upcoming office relocations in the Employment and Social Services Division, and the related concerns of members. The Division presented a detailed update of the planned new locations and expects the changes to be completed by September of this year. Local 79 will work with the Division to ensure that transfer requests are accommodated in accordance with the terms and conditions of the Collective Agreement. There will be further meetings once final decisions have been made.
In April, more than four hundred front-line leaders from public sector unions in the GTA packed the room at the Public Sector Leadership Summit. The Toronto and York Region Labour Council called the meeting to develop a common response to the attack taking place on public services and public sector workers. Many Local 79 members were in attendance as well as Local 79 Stewards and members of the Executive. Noted speakers included economist Armine Yalnizyan and Steelworkers Canadian Director Ken Neumann. All unions were invited to join a major campaign for public services being launched by the Good Jobs for All coalition. Following the Summit, public sector unions agreed to have a small representative group, including Local 79, work with the Good Jobs for All coalition on devising a major outreach campaign linking public services being vital to the quality of life of everyone, and our communities.
As of June 15, 2010, Bill 168 requires employers in Ontario to assess the risks of workplace violence, and to put in place policies and programmes regarding workplace violence and workplace harassment. The legislation amends the Occupational Health & Safety Act and now defines workplace violence as a hazard. This legislation is an important first step to addressing workplace violence. Bill 168, if properly enforced, will begin to protect workers against workplace violence and harassment. Workers now have the right to refuse work if they believe they are at risk due to violence. Employers must also take precautions to protect workers from domestic violence if it crosses into the workplace.
On June 26th and 27th, Toronto will host the G 20 Summit. The City has announced that all programmes and services, with the exception of the child care centre and the Toronto Employment and Social Services office / Employment Centre, both located on the main floor of Metro Hall, will operate as usual. The City Manager has also suggested that City staff who park at Metro Hall use public transit and not drive into the downtown core during the week of Monday June 21 to Friday June 25. Roadways within the area bordered by King Street, Yonge Street, Queens Quay and Spadina Avenue – will experience closures or restrictions. This perimeter is not a fence; it is the point at which vehicular traffic will engage with a Toronto Police Service officer, and this engagement may take some time.
On Sunday July 4th, Local 79 will have an entry in Toronto’s annual Pride Parade. Members who would like to participate should meet at 1:00 p.m. on Bloor Street, between Church & Jarvis, and look for our entry. There will be music by Stoneboat, and a limited number of CUPE Local 79 t-shirts will be available. You must bring your union membership card to receive one. For more information, please call Linda Rose at 416-977-1629 ext. 222.
The Local 79 Annual Retirees’ Recognition and Awards Tea will be held on Thursday, June 17. This event recognizes the contribution of our active retirees, and is an opportunity for Local 79 to express our appreciation for their efforts. Our retirees always tell us how much they enjoy seeing old friends and meeting new ones at this event.
Local 79’s annual Summer Picnic will be on Wednesday, July 14th and Thursday, July 15th at Centre Island – Area 23, starting at 10:30 a.m. both days. This is one of Local 79’s most popular and enjoyable events, and all members are invited and encouraged to attend. Members are responsible for the ferry charge. The cost for the picnic is $8.00 per person, entitling you to one amusement pass and one meal ticket. You will also be able to purchase these separately at a cost of $5.00 for the amusement pass and $3.00 for the meal ticket. Remember to bring your union membership card or a recent pay stub for a great day of summer fun.
In solidarity,
-- Someone pasted data records at this point --
<<<
The following is a theoretical X-ray powder pattern of SbPd3Se2. It was derived from a DFT-relaxed cell (PBE, Alexandria), using Cu Kα (λ = 1.5418 Å).
Intensities are scaled so that the largest is 100.

Structure:
Cell: 6.945 6.945 6.310 Å, 100.93 100.93 124.04°
Fractional coordinates of all 12 atoms:
1 Sb 0.063 0.937 0.750
2 Sb 0.937 0.063 0.250
3 Pd 0.000 0.500 0.500
4 Pd 0.200 0.378 0.046
5 Pd 0.378 0.200 0.546
6 Pd 0.500 0.000 0.000
7 Pd 0.622 0.800 0.454
8 Pd 0.800 0.622 0.954
9 Se 0.219 0.781 0.250
10 Se 0.406 0.594 0.750
11 Se 0.594 0.406 0.250
12 Se 0.781 0.219 0.750

Most intense lines, 10° ≤ 2θ ≤ 90°, in order of rising 2θ:
2theta  I/Imax
33.37  63
33.71  100
40.53  12
44.30  20
47.47  39
48.84  33
52.28  11
56.58  19

~~~~~

Simulated X-ray diffraction stick pattern of SiBr3 for Cu Kα X-rays, from a GGA-PBE-relaxed structure.

Structural model:
Cell lengths 6.9030, 11.9015, 7.8397 Å; angles 90.00, 108.40, 90.00 degrees
Space group C2/m (No. 12)
Asymmetric unit:
Si 0.0464 0.0000 0.1591
Br 0.2301 0.1527 0.2659
Br 0.2350 0.0000 0.7605

Largest 10 diffraction maxima, low angle first, 2θ = 10–90°:
hkl 1 1 0, d = 5.739 Å, 15.44 deg, I = 20.6; hkl 0 0 2, d = 3.720 Å, 23.92 deg, I = 97.5; hkl 1 3 -1, d = 3.298 Å, 27.04 deg, I = 100.0; hkl 2 0 0, d = 3.275 Å, 27.23 deg, I = 50.0; hkl 2 0 -2, d = 2.966 Å, 30.13 deg, I = 43.8; hkl 1 3 1, d = 2.913 Å, 30.69 deg, I = 97.1; hkl 1 3 -3, d = 2.178 Å, 41.46 deg, I = 32.7; hkl 3 3 -1, d = 1.990 Å, 45.58 deg, I = 31.0; hkl 1 3 3, d = 1.862 Å, 48.92 deg, I = 38.5; hkl 3 3 1, d = 1.740 Å, 52.59 deg, I = 20.8


Simulated X-ray diffraction stick pattern of AsRhO4 for Cu Kα X-rays, from a GGA-PBE-relaxed structure.

Structural model:
Cell lengths 6.4529, 6.4529, 6.0554 Å; angles 90.00, 90.00, 90.00 degrees
Space group I4_1md (No. 109)
Asymmetric unit:
As 0.0000 0.0000 0.0000
Rh 0.0000 0.0000 0.4899
O 0.0000 0.3085 0.0112
O 0.0000 0.3112 0.4808

Largest 10 diffraction maxima, low angle first, 2θ = 10–90°:
hkl 2 0 0, d = 3.226 Å, 27.65 deg, I = 100.0; hkl 1 1 2, d = 2.523 Å, 35.59 deg, I = 69.1; hkl 2 2 0, d = 2.281 Å, 39.50 deg, I = 18.9; hkl 3 1 2, d = 1.692 Å, 54.21 deg, I = 62.6; hkl 4 0 0, d = 1.613 Å, 57.09 deg, I = 15.4; hkl 4 2 0, d = 1.443 Å, 64.59 deg, I = 12.9; hkl 2 0 4, d = 1.370 Å, 68.46 deg, I = 13.8; hkl 3 3 2, d = 1.359 Å, 69.11 deg, I = 19.6; hkl 5 1 2, d = 1.168 Å, 82.64 deg, I = 10.9; hkl 4 0 4, d = 1.104 Å, 88.59 deg, I = 8.3


Simulated X-ray diffraction stick pattern of Ce3Th4O14 for Cu Kα X-rays, from a GGA-PBE-relaxed structure.

Structural model:
Cell lengths 12.4250, 5.5588, 8.7892 Å; angles 90.00, 98.12, 90.00 degrees
Space group C2/m (No. 12)
Asymmetric unit:
Ce 0.0000 0.0000 0.0000
Ce 0.0709 0.5000 0.7148
Th 0.1419 0.0000 0.4281
Th 0.2140 0.5000 0.1418
O 0.0000 0.2551 0.5000
O 0.0694 0.2498 0.2129
O 0.1410 0.2497 0.9277
O 0.2130 0.2524 0.6439

Largest 10 diffraction maxima, low angle first, 2θ = 10–90°:
>>>
-- The page goes on --
Ann Dembinski